== Given ==
#a
Computed, not measured: 2 unconnected molecules or ions with the total composition C8H13N3O, with ωB97M-V/def2-TZVPD.

The calculation puts the orbital gap at 8.65 eV. The SMILES is C1=CCNN=C1.CCOCC#N. The multiplicity is 1.

Geometry as XYZ:
```
25
Properties=species:S:1:pos:R:3:mulliken_charge:R:1
C -1.751 2.567 -0.516 -0.36
C -1.370 2.726 -1.788 -0.40
C -0.121 2.077 -2.309 -0.38
N 0.532 1.318 -1.258 -0.09
N 0.134 1.176 0.026 -0.37
C -0.960 1.767 0.387 -0.22
H -2.653 3.043 -0.150 0.34
H -1.951 3.327 -2.494 0.34
H 0.567 2.850 -2.719 0.24
H -0.365 1.422 -3.173 0.23
H 1.367 0.848 -1.467 0.19
H -1.249 1.628 1.421 0.42
C 2.233 -0.830 1.612 -1.30
C 0.813 -1.309 1.403 0.30
O 0.857 -2.699 1.125 -0.37
C -0.406 -3.266 0.947 -0.30
C -1.069 -2.795 -0.295 0.34
N -1.586 -2.395 -1.254 -0.43
H 2.834 -1.008 0.708 0.28
H 2.260 0.241 1.849 0.35
H 2.700 -1.377 2.441 0.38
H 0.336 -0.775 0.550 -0.01
H 0.197 -1.130 2.306 0.26
H -1.078 -3.052 1.788 0.28
H -0.270 -4.353 0.860 0.29
```

***

#b
Computed, not measured: a single C8H13N3O molecule, with ωB97M-V/def2-TZVPD.

The calculation puts the orbital gap at 10.00 eV. The SMILES is CC(C)C(=O)N[C@]1(C#N)CN1C. The multiplicity is 1.

Geometry as XYZ:
```
25
Properties=species:S:1:pos:R:3:mulliken_charge:R:1
C 2.361 -1.224 -0.846 -1.04
C 1.809 -0.865 0.667 0.50
C 2.115 0.565 1.042 -1.60
C 0.335 -1.292 0.634 0.24
O -0.209 -2.190 1.233 -0.60
N -0.374 -0.413 -0.131 -0.31
C -1.811 -0.340 -0.113 1.26
C -2.495 -1.387 0.625 -0.30
N -3.226 -2.186 1.079 -0.50
C -2.372 0.246 -1.440 -0.68
N -2.331 0.979 -0.194 -0.35
C -1.478 2.135 0.142 -0.89
H 3.215 -1.946 -0.945 0.28
H 1.438 -1.478 -1.487 0.29
H 2.760 -0.303 -1.231 0.32
H 2.430 -1.528 1.270 0.46
H 1.673 1.351 0.416 0.42
H 3.201 0.846 1.134 0.39
H 1.783 0.699 2.061 0.37
H 0.073 0.443 -0.360 0.21
H -1.565 0.444 -2.148 0.26
H -3.371 0.241 -1.903 0.29
H -2.166 2.816 0.612 0.30
H -0.652 1.765 0.663 0.35
H -1.146 2.619 -0.782 0.34
```

***

Here are the energies relative to the best structure, in kcal/mol: #a 1.6; #b 0.0.

***

#a
Computed, not measured: 2 unconnected molecules or ions with the total composition C4H5Br2N, with ωB97M-V/def2-TZVPD.

The calculation puts the orbital gap (spin up / spin down) at 7.12 / 7.12 eV. The multiplicity is 1.

Geometry as XYZ:
```
12
Properties=species:S:1:pos:R:3:mulliken_charge:R:1
C 0.558 1.979 -0.908 -0.05
C 0.078 -1.239 -0.969 -1.34
C -0.522 0.051 1.245 -0.58
C 0.464 -0.373 0.279 0.33
N 0.433 3.118 -0.915 -0.48
Br -2.224 0.488 0.402 -0.07
Br 2.295 -0.211 0.590 0.08
H -0.442 -2.066 -0.518 0.44
H -0.779 -0.844 -1.440 0.36
H 0.905 -1.359 -1.546 0.47
H -0.768 -0.504 2.131 0.45
H 0.000 0.961 1.648 0.40
```

***

#b
Computed, not measured: 2 unconnected molecules or ions with the total composition C4H5Br2N, with ωB97M-V/def2-TZVPD.

The calculation puts the orbital gap at 10.20 eV. The SMILES is C/C=C(\Br)C#N.Br. The multiplicity is 1.

Geometry as XYZ:
```
12
Properties=species:S:1:pos:R:3:mulliken_charge:R:1
C -0.544 -1.189 -0.278 -1.38
C -0.325 -0.013 0.627 0.09
C -0.932 1.164 0.544 0.15
Br -1.995 1.529 -1.065 -0.15
C -0.735 2.328 1.367 0.07
N -0.575 3.318 1.928 -0.36
H -1.702 -1.341 -0.486 0.35
H -0.211 -2.082 0.085 0.38
H -0.132 -1.039 -1.317 0.33
H 0.212 -0.065 1.475 0.51
Br 3.047 -0.835 -1.163 -0.21
H 3.892 -1.773 -1.717 0.21
```

***

Here are the energies relative to the best structure, in kcal/mol: #a 74.6; #b 0.0.

***

#a
Computed, not measured: a molecular structure, C36H65BaN2O7P2S2Si, with ωB97M-V/def2-TZVPD.

The calculation puts the orbital gap at 5.84 eV. Its total charge is -1. The multiplicity is 1.

Geometry as XYZ:
```
116
Properties=species:S:1:pos:R:3:mulliken_charge:R:1
Ba -0.089 0.041 -0.094 1.43
C -8.182 -0.249 -1.100 -1.47
C -6.901 0.412 -1.536 1.08
C -5.680 -0.241 -1.406 -1.02
C -4.493 0.377 -1.775 -0.23
C -4.523 1.665 -2.286 0.29
C -5.734 2.332 -2.429 -0.98
C -6.911 1.706 -2.056 -0.79
S -3.027 2.527 -2.761 1.11
O -2.885 3.611 -1.815 -0.69
O -3.209 2.918 -4.146 -0.74
N -1.850 1.500 -2.522 0.24

== Activity ==
Now restate the listing above character by character.

== Outcome ==
#a
Computed, not measured: 2 unconnected molecules or ions with the total composition C8H13N3O, with ωB97M-V/def2-TZVPD.

The calculation puts the orbital gap at 8.65 eV. The SMILES is C1=CCNN=C1.CCOCC#N. The multiplicity is 1.

Geometry as XYZ:
```
25
Properties=species:S:1:pos:R:3:mulliken_charge:R:1
C -1.751 2.567 -0.516 -0.36
C -1.370 2.726 -1.788 -0.40
C -0.121 2.077 -2.309 -0.38
N 0.532 1.318 -1.258 -0.09
N 0.134 1.176 0.026 -0.37
C -0.960 1.767 0.387 -0.22
H -2.653 3.043 -0.150 0.34
H -1.951 3.327 -2.494 0.34
H 0.567 2.850 -2.719 0.24
H -0.365 1.422 -3.173 0.23
H 1.367 0.848 -1.467 0.19
H -1.249 1.628 1.421 0.42
C 2.233 -0.830 1.612 -1.30
C 0.813 -1.309 1.403 0.30
O 0.857 -2.699 1.125 -0.37
C -0.406 -3.266 0.947 -0.30
C -1.069 -2.795 -0.295 0.34
N -1.586 -2.395 -1.254 -0.43
H 2.834 -1.008 0.708 0.28
H 2.260 0.241 1.849 0.35
H 2.700 -1.377 2.441 0.38
H 0.336 -0.775 0.550 -0.01
H 0.197 -1.130 2.306 0.26
H -1.078 -3.052 1.788 0.28
H -0.270 -4.353 0.860 0.29
```

***

#b
Computed, not measured: a single C8H13N3O molecule, with ωB97M-V/def2-TZVPD.

The calculation puts the orbital gap at 10.00 eV. The SMILES is CC(C)C(=O)N[C@]1(C#N)CN1C. The multiplicity is 1.

Geometry as XYZ:
```
25
Properties=species:S:1:pos:R:3:mulliken_charge:R:1
C 2.361 -1.224 -0.846 -1.04
C 1.809 -0.865 0.667 0.50
C 2.115 0.565 1.042 -1.60
C 0.335 -1.292 0.634 0.24
O -0.209 -2.190 1.233 -0.60
N -0.374 -0.413 -0.131 -0.31
C -1.811 -0.340 -0.113 1.26
C -2.495 -1.387 0.625 -0.30
N -3.226 -2.186 1.079 -0.50
C -2.372 0.246 -1.440 -0.68
N -2.331 0.979 -0.194 -0.35
C -1.478 2.135 0.142 -0.89
H 3.215 -1.946 -0.945 0.28
H 1.438 -1.478 -1.487 0.29
H 2.760 -0.303 -1.231 0.32
H 2.430 -1.528 1.270 0.46
H 1.673 1.351 0.416 0.42
H 3.201 0.846 1.134 0.39
H 1.783 0.699 2.061 0.37
H 0.073 0.443 -0.360 0.21
H -1.565 0.444 -2.148 0.26
H -3.371 0.241 -1.903 0.29
H -2.166 2.816 0.612 0.30
H -0.652 1.765 0.663 0.35
H -1.146 2.619 -0.782 0.34
```

***

Here are the energies relative to the best structure, in kcal/mol: #a 1.6; #b 0.0.

***

#a
Computed, not measured: 2 unconnected molecules or ions with the total composition C4H5Br2N, with ωB97M-V/def2-TZVPD.

The calculation puts the orbital gap (spin up / spin down) at 7.12 / 7.12 eV. The multiplicity is 1.

Geometry as XYZ:
```
12
Properties=species:S:1:pos:R:3:mulliken_charge:R:1
C 0.558 1.979 -0.908 -0.05
C 0.078 -1.239 -0.969 -1.34
C -0.522 0.051 1.245 -0.58
C 0.464 -0.373 0.279 0.33
N 0.433 3.118 -0.915 -0.48
Br -2.224 0.488 0.402 -0.07
Br 2.295 -0.211 0.590 0.08
H -0.442 -2.066 -0.518 0.44
H -0.779 -0.844 -1.440 0.36
H 0.905 -1.359 -1.546 0.47
H -0.768 -0.504 2.131 0.45
H 0.000 0.961 1.648 0.40
```

***

#b
Computed, not measured: 2 unconnected molecules or ions with the total composition C4H5Br2N, with ωB97M-V/def2-TZVPD.

The calculation puts the orbital gap at 10.20 eV. The SMILES is C/C=C(\Br)C#N.Br. The multiplicity is 1.

Geometry as XYZ:
```
12
Properties=species:S:1:pos:R:3:mulliken_charge:R:1
C -0.544 -1.189 -0.278 -1.38
C -0.325 -0.013 0.627 0.09
C -0.932 1.164 0.544 0.15
Br -1.995 1.529 -1.065 -0.15
C -0.735 2.328 1.367 0.07
N -0.575 3.318 1.928 -0.36
H -1.702 -1.341 -0.486 0.35
H -0.211 -2.082 0.085 0.38
H -0.132 -1.039 -1.317 0.33
H 0.212 -0.065 1.475 0.51
Br 3.047 -0.835 -1.163 -0.21
H 3.892 -1.773 -1.717 0.21
```

***

Here are the energies relative to the best structure, in kcal/mol: #a 74.6; #b 0.0.

***

#a
Computed, not measured: a molecular structure, C36H65BaN2O7P2S2Si, with ωB97M-V/def2-TZVPD.

The calculation puts the orbital gap at 5.84 eV. Its total charge is -1. The multiplicity is 1.

Geometry as XYZ:
```
116
Properties=species:S:1:pos:R:3:mulliken_charge:R:1
Ba -0.089 0.041 -0.094 1.43
C -8.182 -0.249 -1.100 -1.47
C -6.901 0.412 -1.536 1.08
C -5.680 -0.241 -1.406 -1.02
C -4.493 0.377 -1.775 -0.23
C -4.523 1.665 -2.286 0.29
C -5.734 2.332 -2.429 -0.98
C -6.911 1.706 -2.056 -0.79
S -3.027 2.527 -2.761 1.11
O -2.885 3.611 -1.815 -0.69
O -3.209 2.918 -4.146 -0.74
N -1.850 1.500 -2.522 0.24